Brief:
Could you filter the rows further below: keep the lines with the word "are"?

Source:
Density functional theory data (ωB97M-V/def2-TZVPD) for 2 unconnected molecules or ions with the total composition C4H3Cl3O3.

XYZ file:
```
13
Properties=species:S:1:pos:R:3:forces:R:3
Cl 0.667 -0.648 -2.324 -0.51 0.42 0.63
Cl 1.625 1.191 1.451 -0.64 0.01 0.25
Cl -1.709 -1.287 0.367 0.41 0.11 0.01
O 2.822 0.493 -0.572 -1.36 -1.20 -0.99
O 1.752 -2.120 3.452 -2.84 -0.44 1.29
O 3.909 -1.653 3.009 3.95 1.00 -0.21
C 0.367 0.144 -0.759 2.53 -0.10 -0.20
C 1.517 0.488 -0.107 0.87 0.35 -1.10
C 2.851 -1.852 3.346 -1.11 -0.55 -1.10
C -0.963 0.299 -0.213 -1.94 0.46 1.79
H -1.814 0.621 -0.866 1.41 0.23 0.25
H -0.895 0.949 0.740 -0.24 -0.97 -1.75
H 2.917 -0.009 -1.431 -0.53 0.68 1.13
```
Forces are in eV/Å.

Computed properties:
HOMO-LUMO gap = 0.360 Ha
Calculated total energy = -1760.51944 a.u.
Charge = 0

Here are the Mulliken charges for atoms 1 to 6, given in e: number 1, Cl, carries -0.26; number 2, Cl, carries -0.17; number 3, Cl, carries -0.20; number 4, O, carries -0.48; number 5, O, carries -0.33; number 6, O, carries -0.31

Completed:
Forces are in eV/Å.
Here are the Mulliken charges for atoms 1 to 6, given in e: number 1, Cl, carries -0.26; number 2, Cl, carries -0.17; number 3, Cl, carries -0.20; number 4, O, carries -0.48; number 5, O, carries -0.33; number 6, O, carries -0.31